How COVID-19-Virus Has Negatively Impacted Prisoners at the Monroe CorrectionS Complex -WSRU.
By Sister “J.Lee” Sutton.
Prison. I cannot imagine that “in the land of the free, & the home of the brave” that we would have more people incarcerated in this country than in any other around the world.
Prison. This word has so many meanings. Some say it is described as: a place of darkness, with little light. Some say it is described as: hell on earth. If you’ve never been an unfortunate soul subjected to living inside a Prison, then you cannot truly say you understand what it is like.
Throughout work history, Prison was a place designed to exact punishment upon the humans who lived inside its walls.
In the past few years, society has changed its opinion on the use and construction of jails and Prisons. Today, there is a strong moral/ethical movement for change, and the eventual (hopeful) abolishment of the “Prison Industrial Complex (PIC).” One day at a time, we move towards this goal.
Today, we hear stories of what living inside a Prison was like, for those lucky few who make it out alive.
Those stories are raw, graphic, and emotional truths as to how human beings are being treated inside Washington State Prisons, and in other Prisons across the disunited State of America. For example, some cells where these humans once lived are described as dark, dank, cold, or too hot, with little to no adequate ventilation, & the meals are similar to eating “dog food.” I guess in today’s America, this somehow humane, and acceptable in the minds of the Captors.
For some, this has become a nightmare before their eyes. A nightmare that they cannot seem to wake from.
Today, the injustice system defines Prison as a system of corrections. You may have never heard the statement defining Prison as a “Corrections Center,” etc.. Nothing can be further from the truth. What is the system “correcting?” When it seems as if this system cannot correct itself.
In Washington State, this system is called the Washington State Department of Corrections (DOC).
We are told that DOC is a trustworthy operation and that its primary goal is the safety and security of its Prisoner population, along with all its facilities. If this author’s experience however (after serving 26 years within the bowels of DOC), a normal day within DOC has its share of challenges and unique circumstances. Truth be told, some of these issues are actually caused by power hungry employees who are taught that Prisoners are not human enough or that Prisoners are all con-artists, liars, two-faced-inhuman-beings that cannot be trusted whatsoever. With this DOC “C.O.R.E.” training, DOC employees immediately pre-judge and distrust Prisoners. They are incorrectly taught that ALL Prisoners lie and are not to be trusted. The illogical theory is that ONLY DOC EMPLOYEES TELL THE TRUTH “ALL THE TIME,” YOU CAN ALWAYS TRUST DOC STAFF.
As if DOC employees have never lied in their entire lives, or that they are not capable of lying or distorting the truth.
This unfortunate DOC “C.O.R.E.” training can easily be changed to make it more fair/equal to reality. Yet, there seems to be not a very large movement towards that end.
Case in point. This DOC created conflict between DOC employees & Prisoners has created an environment of distrust.
This has also led to an environment of animosity between State agents and Prisoners. One that will not change overnight.
This author has personally experienced this animosity firsthand. Little-to-nothing is done to “correct” DOC staff misconduct issues. Yes, state agents enforce that a Prisoner must obey and “correct” theirs. A double-standard.
This type of environment is dangerous. Deep wounds have been created by DOC which will heal in a day or two.
If all this is not bad enough, now Washington State’s Prisoners and DOC employees are faced with the additional challenge of an invisible virus, which does not discriminate and does not care what type of costumes you wear.
The entry is interrupted by molecular data:
'''
63
Properties=species:S:1:pos:R:3:forces:R:3 method="wB97M-V/def2-TZVPD" e_homo_ev="-9.44 / -10.87" orbital_gap_ev="6.939 / 8.009" energy_ha=-3144.5552 mol_weight_g_mol=640.56 multiplicity=2 total_charge=+1 max_force_ha_per_bohr=0.0084
In 0.404612 -0.177590 0.928849 0.1963 -0.2663 0.2745
C 4.847188 -0.797974 1.954581 0.0571 0.0137 -0.0340
C 4.623073 0.100044 0.737886 0.0289 0.0044 0.0237
S 3.098452 1.067726 0.600592 0.0264 0.0386 -0.0031
C 3.084175 2.134184 2.053924 0.0015 0.0610 0.0323
C 2.796713 1.471131 3.401238 0.0541 0.0111 -0.0373
S 1.236954 0.555970 3.424638 -0.1366 -0.0136 -0.0494
C 1.610539 -1.070613 4.175333 0.0422 -0.0260 -0.0625
C 3.030515 -1.597432 4.021089 -0.0142 -0.0035 0.0068
S 3.490422 -1.950468 2.302126 -0.0210 0.0051 -0.0185
H 5.087714 -0.219845 2.844896 -0.0552 0.0037 0.0040
H 5.734647 -1.395098 1.740242 0.0008 -0.0007 0.0142
H 4.609996 -0.505486 -0.170204 -0.0466 0.0038 0.0000
H 5.463396 0.790283 0.642263 -0.0014 0.0011 -0.0086
H 2.318500 2.881295 1.832082 0.0024 -0.0320 -0.0163
H 4.030743 2.673691 2.117134 0.0184 -0.0299 -0.0139
H 2.741055 2.242301 4.169568 -0.0365 0.0106 -0.0107
H 3.602081 0.803331 3.678127 -0.0124 -0.0078 -0.0037
H 0.910773 -1.742747 3.676648 -0.0457 0.0062 0.0647
H 1.330784 -1.023935 5.226632 0.0482 0.0677 0.0263
H 3.086128 -2.536224 4.573112 -0.0353 -0.0235 -0.0267
H 3.775269 -0.947981 4.477971 -0.0037 -0.0019 0.0144
C -1.891538 4.167469 -2.949752 -0.0040 0.0024 -0.0059
C -0.619778 4.371542 -2.142651 0.0089 -0.0100 0.0468
N -0.652341 3.662126 -0.853115 -0.0301 0.0387 -0.0528
C -1.363535 4.343979 0.232953 0.0079 -0.0073 -0.0410
C -0.425161 5.064579 1.190032 0.0016 0.0054 0.0377
C -0.130487 2.453058 -0.683387 -0.0611 -0.0848 0.0115
C 0.522101 1.771470 -1.850138 0.0227 0.0098 0.0058
N -0.168573 1.821554 0.471069 0.0446 0.0932 0.0121
H -1.842028 4.742760 -3.873810 0.0024 -0.0051 0.0078
H -2.770288 4.499582 -2.396518 0.0012 -0.0003 0.0005
H -2.034115 3.118039 -3.208891 0.0041 0.0007 0.0034
H -0.473360 5.427544 -1.912890 -0.0062 0.0085 -0.0024
H 0.256729 4.056241 -2.701610 0.0007 -0.0036 -0.0121
H -2.003130 3.626248 0.750828 -0.0080 0.0062 0.0122
H -2.039080 5.057019 -0.236211 -0.0052 0.0057 0.0086
H 0.269766 4.376429 1.675274 -0.0112 0.0023 -0.0206
H -0.998954 5.564897 1.969597 0.0038 0.0030 -0.0101
H 0.159344 5.818824 0.663036 0.0047 -0.0088 -0.0032
H 1.443804 2.284580 -2.126276 -0.0045 0.0090 0.0039
H -0.140256 1.760118 -2.713877 0.0016 0.0032 0.0001
H 0.778404 0.742581 -1.606590 -0.0199 -0.0197 0.0031
H -0.637874 2.312805 1.221152 -0.0010 0.0279 -0.0410
F -2.370213 -5.408174 -1.611255 0.0207 -0.0303 -0.0078
C -3.177864 -4.502741 -1.061583 -0.0100 -0.0262 -0.0357
C -2.803462 -3.794122 -0.000007 -0.0065 0.0531 0.0388
N -3.632808 -2.847703 0.574519 -0.0658 -0.0356 0.0402
C -3.159770 -2.059596 1.687769 -0.0372 0.0404 0.0019
C -1.933912 -1.256623 1.332621 0.0253 0.1576 -0.0051
O -1.624873 -1.052425 0.141204 -0.0848 0.0795 0.0831
O -1.214651 -0.792494 2.287831 -0.0262 -0.1188 -0.1421
'''
COVID-19-Virus will pay you a visit if you’re not careful. If you ignore medical professional advice, you may be the next victim of this virus. Social distancing (as directed) is a form, and method used to combat this virus. However, how do you “socially distance” inside an overcrowded Prison?
In December of 2019, an outbreak of the respiratory disease associated with a novel coronavirus (new virus) was reported in the city of Wuhan in the Hubei province of the People’s Republic of China. Unfortunately, this virus has spread worldwide, some say due to a failure by officials to make immediate reports to the World Health Organization (W.H.O). Some say the W.H.O. knew about it early-on and had failed to pass the information forward to the World so that the rest of the World could protect itself. No matter who is to blame, WE all must face this crisis together.
On March 11, 2020, the W.H.O. declared COVID-19 a PANDEMIC. By this time, it had already spread well-beyond the borders of China due to international travel.
The first reported death of COVID-19, in this country, was dated February 2020. According to experts, the first reported positive test and eventual death were registered in Washington State. Our own backyard. Thank you, leaders.
Since then, the number of positive cases and relative deaths have been on the rise. This is expected to continue for some time until we can flatten the curve, as they say. (See, U.S. Dept. of Health & Human Services Report # 03, dated on: April 2020. This author has a copy for you if requested through Ed Mead).
With the virus reported to have spread within the confines of the MONROE CORRECTIONS COMPLEX – WSRU, are we really that surprised that humans “locked-up” would react the way they did?
On April 08, 2020, at the “camp-facility” outside the main Reformatory walls, numerous “incarcerated individuals” began a disturbance/protest over “living conditions” that they felt were unsafe/unhealthy. It was reported by the families of these Prisoners that they were not being told the truth concerning the extent of the outbreak within the confines of the building they were forced to reside in.
Because of the contributing factor of “overcrowding” within DOC, and the fact that the obsolete buildings are not designed for social distancing, human beings incarcerated (no matter what for) were forced to interact in close quarters with each other, which caused an “incubator” in the City of Monroe’s Prison.
Due to this obvious and not disputed fact, numerous human rights organization and attorneys stepped up to offer their help/support. One such law firm is Columbia Legal Services (CLS). (Phone: 206-464-1122 & 206-382-3399). Attorney Nick B. Straley is the lead attorney in the following civil action: Shyanne Colvin, et al., vs. Jay Inslee, et al., Wash. State Supreme Court, Case NO. 98317-8.
For context, this litigation began as an “Emergency motion” or “Mandamus action” seeking the immediate release of some “vulnerable Prisoners” at WSRU and at the Washington Corrections Center for female Prisoners. (Purdy).
This case generated much media attention, especially when local T.V.W. channel began broadcasting the live oral arguments via teleconference.
Numerous human beings at WSRU had the opportunity to watch these proceedings in the high Court. Especially, your well-known “jailhouse lawyers,” commonly known as “writ-writers.” This broadcast happened on April 23, 2020.
After the high Court heard arguments from both sides, the Court declined to grant the relief requested.
This Order from the high Court was decided the same day as the T.V.W. broadcast/oral argument hearing. The Court’s Order found that, “on the record presented, Petitioners (the Prisoners) have not shown that the Respondent’s (State’s) actions constitute deliberate indifference to the Covid-19 risk at DOC facilities” and that “Petitioners have not shown that Respondents are CURRENTLY failing to perform a mandatory, nondiscriminatory duty in addressing the COVID-19 risk at [DOC] facilities.”
However, this Order did not terminate review. See letter from Deputy Clerk, dated: May 08, 2020.
This case is still active, and CLS is working hard at finding a way to have the Court Order more releases from Prison, or to move that the Governor and Secretary of DOC do more to release humans from the confines of Prison.
With all the publicity surrounding this topic and due to the immense amount of litigation going around this county concerning the COVID-19 Virus, this author wanted to speak to a person directly impacted by what DOC has either done or not done in response to this virus outbreak within the confines of WSRU. This person is a well-known “jailhouse lawyer” & this person’s father is on DOC’s Family Counsel, along with this person being connected and in touch with numerous outside organization and prison abolishment groups. This is person is Julian Tarver.
J.Lee: Greetings Julian. Thank you for taking your time to be interviewed today.
Julian: Not a problem. It’s an honor to be interviewed. I appreciate all you hard work J.Lee.
J.Lee: As you know, this COVID-19-Virus is a danger to us all. From your perspective, how has DOC handled it?
Julian: Not very well. DOC was late in its prevention methods and DOC officials brought the virus to work with them. This, unfortunately, cause d some of “US” to get sick. Some lost their lives over this.
J.Lee: Your speaking about DOC employee lives or the lives of incarcerated individuals?
Julian: Both. DOC employees brought it inside the Prison. This exposed “US” to the virus and some of “US” got sick, and some of “US” lost our lives. Also, it has been said that a DOC employee also lost his life while working dor DOC. I believe this DOC employee contracted the virus in society, brought it to work with him, didn’t know he had it, until her was tested. It turned out to be positive. After exposing “US” he went into the hospital and died shortly thereafter.
J Lee: So, DOC places “US” all at risk to contract it?
Julian: Absolutely. This cannot be disputed.
J.Lee: With this unfortunate exposure, how many of “US” at Monroe Prison have been subjected to pain & suffering?
Julian: the number is substantial. I work alongside the Corrections Ombuds office and I speak to investigators almost every day. They have reports detailing what has happened. If you would like copies of these reports, just phone: E.V. Webb or Joanna Carns @ 360-664-4749. There is also a weekly conference call line, at 360-407-3831. Passcode=821205. Just give them a call, and they can assist you.
J. Lee: How have you been coping with all of this drama?
Julian: I have a large support team. My father is on fire to make change happen. He meets with the DOC Family Council every week over the phone. I have close friends, such as yourself, that keep me grounded and focused on positive energy. You help me stay away from negative influences. Along with many outside organizations and human-rights advocates, like “Beyond These Walls,” I have been able to stay positive while living around a bunch of miserable people.
J. Lee: I suppose then, you are an example for others to follow, as far as how to cope in this negative environment?
Julian: Yes, you could say that. Most importantly, I have a desire to help those less fortunate than me.
J.Lee: Last question for you. If you were to sum-up what DOC’s response to this crisis has been, and place it on a scale of 01-10, 01 (of course being terrible), what would your number on this scale be?
Julian: My number would be below zero.
J.Lee: Wow! That’s significant. Why so low?
Julian: It’s a combination of things. For one, DOC was late rolling-out its prevention measures, then DOC failed to begin testing its employees early on, before they were allowed into the Prison. This contributed to the employees coming into the facility and exposing all Prisoners to the virus. Then, it’s been reported that multiple Prisoners, and DOC employees were getting sick, and some of them actually lost their lives.
The problems within DOC command structure seems to be getting worse, not better. For example, information is not being passed down properly to line staff. Also, there seems to be a “lack of communication” between duty stations.
Staff morale is low, due to command staff making their subordinate line staff do “multiple overtime shifts” per week.
DOC employees are very tired, stressed to the max, & some of them do not want to come to work.
J.Lee: Wow! So, in your opinion, based on all the facts (that you have been made aware of), DOC is in crisis mode, and it cannot seem to manage its Prisons during this COVID-19 PANDEMIC?
Julian: Yes! Absolutely! DOC is in real trouble. DOC is force to also cut its budget, and furlough workers, due to the crisis. There does not seem to be a way out of this mess, unless drastic measures are taken to protect us all.
J.Lee: Julain. This has been an insightful interview. I wish you all the best, and please stay safe as best you can. Say hello to your Father for me.
Julian: Thanks J.Lee. You as well.
In closing: It is surprising to me, that DOC is allowed to continue to operate, when it seems clear that DOC is in crisis mode, and is failing on every level, and in every department. DOC does not seem to understand that this virus will continue to kill Prisoners, unless DOC Secretary STEPHEN SINCLAIR, & Governor JAY INSLEE do more to Order the immediate release of State Prisoners.
Maybe, this State should shut-down all its Prisons, in order to save lives. Oh. right. That seems to be wishful thinking.
It is very clear to this author that Prisoners’ lives do not matter to Governor Inslee or to Secretary Sinclair.
Until ALL INMATE LIVES MATTER, we will never see significant changes made this “correction system.”
Until ALL INMATE LIVES MATTER, the pain & misery WE ALL FEEL will continue to be unabated. We must ALL WORK TOGETHER to make lasting and real change happen, from Insideout.
I’m Sister J. Lee Sutton.